Assignment:
Quote the lines underneath up to the one that holds "0.615 0.643", that line included.

Entries:
=====
1.
Material: Al3Zn4Ga4
Method: DFT, PBE
State: optimized geometry

Cell lengths 2.816, 7.351, 10.268 Å; angles 113.56, 99.75, 95.95 degrees
Atoms (fractional coordinates):
Ga1 0.531 0.615 0.643
Ga2 0.738 0.685 0.274
Ga3 0.469 0.385 0.357
Ga4 0.262 0.315 0.726
Zn1 0.537 0.224 0.078
Zn2 0.960 0.118 0.435
Zn3 0.040 0.882 0.565
Zn4 0.463 0.776 0.922
Al1 0.776 0.048 0.822
Al2 0.000 0.500 0.000
Al3 0.224 0.952 0.178

- crystal system = triclinic
- Fermi-level density of states (states/eV/atom) = 0.2373

2.
Material: CrPt6W
Method: DFT, PBE
State: optimized geometry

Cell lengths 3.955, 3.955, 7.899 Å; angles 90.00, 90.00, 90.00 degrees
Each line ends with the local moment (μB).
Atoms (fractional coordinates):
W1 0.000 0.000 0.500  0.49
Pt1 0.000 0.500 0.745  0.05
Pt2 0.000 0.500 0.255  0.05
Pt3 0.500 0.500 0.500  0.04
Pt4 0.500 0.000 0.745  0.05
Pt5 0.500 0.500 0.000  0.00
Pt6 0.500 0.000 0.255  0.05
Cr1 0.000 0.000 0.000  3.27

- crystal system = tetragonal
- Fermi-level density of states (states/eV/atom) = 0.6162

3.
Material: DyScZn
Method: DFT, PBE
State: optimized geometry

Cell lengths 3.546, 4.825, 4.825 Å; angles 120.00, 90.00, 90.00 degrees
Atoms (fractional coordinates):
Dy1 0.647 0.667 0.333
Sc1 0.124 0.000 0.000
Zn1 0.229 0.333 0.667

- crystal system = trigonal
- Fermi-level density of states (states/eV/atom) = 1.3659
- offset from the most stable computed form (eV/atom) = 0.127

4.
Material: Ba3Al3Ga2
Method: DFT, PBE
State: optimized geometry

Cell lengths 5.995, 5.995, 14.726 Å; angles 90.00, 90.00, 120.00 degrees
Atoms (fractional coordinates):
Ga1 0.333 0.667 0.387
Ga2 0.667 0.333 0.887
Ga3 0.667 0.333 0.613
Ga4 0.333 0.667 0.113
Ba1 0.667 0.333 0.376
Ba2 0.000 0.000 0.500
Ba3 0.333 0.667 0.876
Ba4 0.000 0.000 0.000
Ba5 0.333 0.667 0.624
Ba6 0.667 0.333 0.124
Al1 0.842 0.685 0.750
Al2 0.842 0.158 0.750
Al3 0.315 0.158 0.750
Al4 0.158 0.842 0.250
Al5 0.685 0.842 0.250
Al6 0.158 0.315 0.250

- crystal system = hexagonal
- Fermi-level density of states (states/eV/atom) = 0.5045
- offset from the most stable computed form (eV/atom) = 0.000

Raw total energy (eV/atom)
-2.549, -7.606, -4.146, -3.227
ΔE_f (eV per atom)
0.036, -0.253, -0.076, -0.346

~~~~~

# 1
{"formula": "Cd2GeRh3", "functional": "GGA-PBE", "state": "optimized geometry", "lattice_angstrom": [[4.4315, 0.0000, 0.0179], [2.2157, 6.6177, 0.0090], [-0.0265, 0.0000, 6.5107]], "species": ["Rh", "Rh", "Rh", "Rh", "Rh", "Rh", "Ge", "Ge", "Cd", "Cd", "Cd", "Cd"], "frac_coords": [[0.1762, 0.6477, 0.7806], [0.8238, 0.3523, 0.2194], [0.8239, 0.3523, 0.7806], [0.5000, 0.0000, 0.2321], [0.1761, 0.6477, 0.2194], [0.5000, 0.0000, 0.7679], [0.3399, 0.3202, 0.0000], [0.6601, 0.6798, 0.0000], [0.3348, 0.3304, 0.5000], [0.6652, 0.6696, 0.5000], [0.0000, 0.0000, 0.0000], [0.0000, 0.0000, 0.5000]], "e_form_ev_per_atom": -0.30}

# 2
{"formula": "CdGeRuRh", "functional": "GGA-PBE", "state": "optimized geometry", "lattice_angstrom": [[4.4272, 0.0000, 0.0000], [2.2136, 3.8341, 0.0000], [2.2136, 1.2780, 3.6148]], "species": ["Ge", "Ru", "Cd", "Rh"], "frac_coords": [[0.0000, 0.0000, 0.0000], [0.7500, 0.7500, 0.7500], [0.5000, 0.5000, 0.5000], [0.2500, 0.2500, 0.2500]], "e_form_ev_per_atom": -0.06}

# 3
{"formula": "Cd2GeRuRh", "functional": "GGA-PBE", "state": "optimized geometry", "lattice_angstrom": [[5.0835, 0.0000, 0.0000], [0.0000, 4.6300, 0.0000], [0.0000, 0.0000, 5.0835]], "species": ["Rh", "Ge", "Cd", "Cd", "Ru"], "frac_coords": [[0.0000, 0.0000, 0.0000], [0.5000, 0.5000, 0.5000], [0.5000, 0.0000, 0.0000], [0.0000, 0.0000, 0.5000], [0.0000, 0.5000, 0.0000]], "e_form_ev_per_atom": 0.91}

# 4
=====

Response:
1.
Material: Al3Zn4Ga4
Method: DFT, PBE
State: optimized geometry

Cell lengths 2.816, 7.351, 10.268 Å; angles 113.56, 99.75, 95.95 degrees
Atoms (fractional coordinates):
Ga1 0.531 0.615 0.643